Monday, April 23

YiTan Tech Conference Call - Tempest in the Blogosphere

(Next to the text, the page also holds molecular data)
┌──
This record from the OMol25 dataset describes C18H30CeN8O3P as an isolated structure at a distorted geometry. The level of theory is ωB97M-V with the def2-TZVPD basis set.

Computed properties:
- F_max (eV/Å) = 1.4
- gap between HOMO and LUMO (eV) = 6.3
- molar mass (g/mol) = 577.6
- total charge = +3
- 2S+1 = 1
- energy relative to the best compared isomer or geometry (same formula, charge and spin) (kcal per mole) = 0.0

Element x y z (Å)
Ce (-0.216, -1.029, 0.634)
P (1.181, 1.549, -1.970)
O (-2.730, 0.015, 1.281)
O (-1.949, -2.379, 0.383)
O (-1.350, -1.927, 2.388)
N (1.198, -0.394, 2.663)
N (-1.035, 0.785, -3.517)
N (1.876, -0.903, -0.687)
N (3.404, -0.124, -2.071)
N (0.098, 1.408, 0.644)
N (0.748, 3.425, 0.066)
N (1.144, -3.011, 1.589)
N (-0.930, -0.273, -1.595)
C (-0.238, 2.284, 1.649)
C (1.566, -1.558, 3.511)
C (-2.308, -2.031, 1.565)
C (2.156, -2.623, 2.620)
C (3.870, -1.319, -1.603)
C (-0.342, 0.642, -2.374)
C (2.203, 0.109, -1.511)
C (-2.095, -0.077, -3.479)
C (-0.727, 1.674, -4.650)
C (-3.969, -0.992, 3.180)
C (0.694, 2.132, -0.311)
C (4.116, 0.707, -3.059)
C (-3.536, -1.149, 1.745)
C (0.169, 3.535, 1.298)
C (-4.660, -1.446, 0.786)
C (2.919, -1.800, -0.759)
C (-2.035, -0.719, -2.279)
C (1.283, 4.566, -0.700)
H (0.659, -1.914, 4.001)
H (0.395, -3.503, 2.075)
H (3.742, 0.489, -4.056)
H (1.543, 5.348, 0.007)
H (2.044, 0.056, 2.313)
H (0.527, 4.928, -1.392)
H (-0.656, 2.702, -4.305)
H (0.744, 0.314, 3.237)
H (3.039, -2.245, 2.101)
H (-0.756, 1.982, 2.545)
H (-3.140, -0.737, 3.837)
H (2.947, -2.725, -0.216)
H (2.176, 4.259, -1.235)
H (-4.729, -0.211, 3.248)
H (2.466, -3.493, 3.199)
H (-2.689, -1.479, -1.887)
H (-4.430, -1.915, 3.532)
H (-1.541, 1.593, -5.364)
H (-3.246, 0.832, 1.329)
H (-2.793, -0.155, -4.295)
H (4.820, -1.722, -1.911)
H (5.172, 0.462, -2.999)
H (-5.146, -2.385, 1.056)
H (2.269, -1.278, 4.296)
H (0.200, 1.362, -5.123)
H (0.096, 4.480, 1.810)
H (1.541, -3.709, 0.963)
H (-4.320, -1.510, -0.244)
H (-5.416, -0.663, 0.858)
H (3.981, 1.757, -2.818)

* * * * *

A single C3H5NS molecule at a distorted geometry, computed with the ωB97M-V functional and the def2-TZVPD basis.

Each atom is followed by the atoms it is bonded to, with distances in Å.
Element x y z (Å)
1 C 1.1289 -0.2919 -0.1311  H2 1.087, C3 1.515, H4 1.077, N8 1.388
2 H 1.4159 -0.8060 -1.0444  C1 1.087
3 C 0.4811 1.0610 0.0838  C1 1.515, N8 1.460, H9 1.086, H10 1.052
4 H 1.8568 -0.5727 0.6108  C1 1.077
5 C -1.2626 -0.6924 -0.0325  S6 1.704, H7 1.074, N8 1.346
6 S -2.7041 0.2143 -0.0957  C5 1.704
7 H -1.4724 -1.7406 -0.1363  C5 1.074
8 N -0.1146 -0.2116 0.4807  C1 1.388, C3 1.460, C5 1.346
9 H -0.0020 1.5465 -0.7592  C3 1.086
10 H 0.6730 1.4933 1.0239  C3 1.052

Results
* E_LUMO: 0.1 eV
* E_HOMO: -8.45 eV
* energy above the lowest of the compared OMol25 structures with the same formula, charge and spin: 1.942 eV
* E_tot: -15514.9302 eV
* SMILES: S=CN1CC1
* orbital gap: 8.59 eV

***
└──

From Jerry's original email:
In early April, some teasing and badgering online ran out of control. Anonymous commenters became abusive and threatening, and blogger Kathy Sierra responded in a way that lit up cyberspace.

Soon the story ricocheted out of cyberspace, making stops on Salon, BusinessWeek and eventually CNN. The first week ended with Sierra and Chris Locke, publishing a joint statement that helped calm the waters.

Jerry started out with apologizing for what could be perceived as framing the call in a potentially negative way - wanted to be sure that this call was a discussion of feelings and how we personally felt, rather than finger-pointing and recriminations.

Jerry: what were your personal responses in regard to these issues:
  • What is the general state of cyberspace discource? Civility in general?
  • Discussion on gender in the blogosphere
  • "Cute Kitty" moniker - how this became an issue
  • Labeling in blogs - what can we do to minimize the negative discourse
Quick and dirty history of the story: by rageboy, then Bobsyouruncle - all sorts of threats, Kathy was targeted and chose not to go. Got a lot of attention in the world. Blew up into Salon, MSM. A week later, Kathy and Chris showed up on CNN and issued a joint statement (potentially brought together by Tim O'Reilly).

Nancy White and David Reed - discussing the issue in general.

Nancy: was not online when it first unfolded. If we rush to judgment, we will screw up.
First rush, Kathy is a friend - and immediately made her defend Kathy. Her personal reaction was as a friend, a mom, a blogger and immediately had a defensive reaction in terms of the attack. Then she thought - waitaminute - we do not have all the facts. Online, we immediately rush to judgment.

DocSearls (on IRC): It isn't just a rush to judgement. It's about where that rush ends up, in aggregate. You don't so much get a "piling on", but a kind of buzzy hive swarm, where everybody makes the same sounds about the subject. It's a kind of amen corner.

Nancy: People were immediately passing judgment - you should be tougher, men were trying to advise as if they had true experiences like this. The issue migrated from Kathy to gender, then the conversation totally shut down.

DocSearls (on IRC): In the absence of facts, the ratio of opinion to facts reaches the infinite. It becomes better to say nothing than to issue yet another opinion. I reached the point where I realized I *couldn't say anything* to help, unless it was to provide more facts. Black-hole status had been reached.

DocSearls (on the call): was brought in when Kathy mentioned his name. "Blackhole" issue - no more facts were forthcoming and opinions were becoming the dominant factor. We had to take things "offline". Blogs are really the new pulpits. Maybe it is broken.

Jerry: blogging is not a dialog, rather a duologue.

Something about blogging makes opinionating too "newsy" - there is no commons on the Web yet. Like a real "public place" - blogging is not it. (e.g. Tim O'Reilly's call for "code of conduct"was him getting on *his* pulpit). In Europe, they understand the need for public spaces FIRST, then you build your personal and business around that. In the US, we overserve the individual and underserve the collective.

Doc's reaction to the story: shock and frustration. First call received was claiming the Chris *must* have done it - especially since he was "so good at Photoshop". Immediately became a blandishment of opinion. It became a huge time suck - that he resented. It brought the enemies to the forefront and (ed. opinion) friends were stalwarts.

A lot of good work did not get done because of this "thing".

Weren't there good lessons in this to be found? Yes and no - blogging has been something I have enjoyed, but not a large part of my life. Considering stopping blogging - much more work that is being accomplished with real progress (VRM at Berkmann Center, other projects). Doc felt the release of the VT files/Cho materials by NBC on his blog may have been a big mistake.

Hives gather around the "black holes" - becomes a large "suck" of time.

Nancy: interplay between blogs and MSM. Pandora's box is opened - reaction rather than analysis.

Jerry: MSM did not help in the healing, rather helped in the controversy.

SWITCH OVER: Heather - go back to thinking about this personally. Situations of where people have power and do not have power. Despair in should she event get engaged - is this really an opening of conversation. Where is collective engagement?

Pip: Blogging seems to be able listening more than speaking on. Wants to be in the receiver position, not a specific position - to allow one to evolve themselves. In a meeting, better to listen since you know what you know, and what others know. Want to be where people are "open to discussion".

Nancy: spaces online - nurtured online - by deep relationship and trust. Anonymity can happen, but often destroyed. Was extraordinary in the Israeli/Palestinian forum - first three months was good and then it fell apart.

Dennis: Saw a lot of gender and power relationships. When Danah Boyd posted - it was a light on the issue to show what was happening and gave him an appreciation of what happened. Had not thought it was happening STILL.

Posted without fact checking - because he wanted to help. What he could be responsible for and how he would conduct himself. Very much aligned with Nancy's perception of "personal responsibility" versus "code of conduct".

Lazzaro: lampooning and satire might have gotten misunderstood. By violating social norms, created more emotions. Shocked that it was happening to an individual.

PhilWolff: surprised it spiraled out of control so quickly.

Trudy: came at this very late - learned about what happened. Was not really surprised at what happened and the comments on public spaces. Which is why she does not spend time there. Lots of blogosphere places which do not have the tools or the spirit (interested in the depth of the connection, not the quantity of connections). There was no community manager to take care of the negative posts - on DailyKos, trolls are there to clear the negative comments.

DocSearls (on IRC):
"Black holes as entertainment = Blogging as television, as tabloid culture, where celebrity is everything and no minds ever change but merely swim in trivia."

Doc (on call): need something new - blogging is ten years old - tagging works, syndication - very early in the development of whatever we are going to make of the 'net. We need the "geeks" to invent something new. We are trying to aon a 'planet' that has not terriformed. Blogging has turned into People Magazine - 70MM bloggers.

When AOL opened the pipes, the web changed. There are downsides to having everyone getting involved. Need more conversation to happen, instead of lobbing opinions. (Jerry's opinion: very diverse).

Heather: having a person "present" will overcome the need for a 'code of conduct' - how to have your true self. Scaling civility well or intimacy - has anyone seen it happen?

DocSearls (on call): open-source community - very brutal, someone at the top, very challenging - maintains civility through management.
"brutally meritocratic", but have developed methods over time. Scaling civility should be possible, intimacy can be more difficult.

Dennis: example would be in the Euro acceptance in Europe.

Heather: when you blog, you are very naked, and being naked on a blog is being very vulnerable. "Being intimate in public" - intention is created. Witnessing in public.

DocSearls (on IRC):
I love what Kurt Vonnegut said: "You've got to be kind." That's very hard when you perceive other people as "bad", deserving of rebuke, and at a distance.

Nancy: how can we be in communities in the networked world. The boundaries are in motion - we are trying to refigure them. The North American view is that anonymity and privacy is very different than the rest of the world.

Most communities have four stages - the way to true communities is through chaos. Either by leader (lead us) or MTA (emptiness).

Credits to Jerry on his recap and Peter Kaminski (and others on the IRC) for their quoting abilities.

Saturday, April 7

From the ground on PodCampNYC...

Got here a little late today and was meeting with various people before coming in. The sessions I have participated in are:

Video Compression for Podcasters
  • Discussion on video compression techniques from Andy Beach from Zoom In Online
  • Great set of links for video compression (send Andy an email at andybeach AT gmail)
The Power of the RSS Feed as a Marketing Tool
  • Discussing the use of RSS feeds as a marketing tool from Bruce Chamoff of Long Island Podcast Network
  • The discussion was more about how RSS (kind of) works - a little confusing, but trying to get people to understand the concepts of RSS and syndication
  • Lots more discussion on how RSS is truly NOT SIMPLE for normal human beings
AxL - The Attention eXchange Language
  • Discussion by John Frederico from On Digital Media on the models of how to exchange attention information between podcasters, viewers and marketers
  • Difficulty with iTunes and the closed-nature of iTunes with giving viewership information
Punch Cards, Ed Sullivan and 8 Track Tapes - What the Facebook Generation Can Learn from an Ex-Hippie Chick
  • Discussing the metrics of trust and engagement by Nancy Shenker of theOnSwitch Consulting and how very undifferent the marketing tools of the past are appropriate for today
  • The New Awkward Moment by Howard Greenstein - great article to read about handling strangers on social networks and "link sluts"
  • Nancy's points for "Timeless Truths" (T^2):
    • Host: T^2 = quality - variety - excitement
    • Chat: T^2 = manners - timing - freshness
    • Community: T^2 = mutual interests - respect - symbiosis
    • Friend: T^2 = connection - trust - fun
    • Eyeball: T^2 = connection
    • Engagement: T^2 = true interest - loyalty - spending
    • Post: T^2 = know your audience - good timing - good penmanship
    • Shuffle: T^2 = listen
    • podcamp: T^2 = camaraderie - new growth - new rules
  • Come and post some of your favorite points-of-view on Nancy's blog
  • Discussion of avatars and trust
  • Barry: social network allows for ability to reconnect with friends and there is nothing that will substitute for eyeball-to-eyeball, belly-to-belly connections
  • Twitter: why do I twitter? To keep connections...reduce the distance
  • Know that people who have been using social networks for years are more saavy on the use of technology the way gear heads of the 50s and computer geeks of the 80s were are able to use the technology for their benefit.
Beyond Monetization - The Currency of Relationships
  • Discussion by Chris Brogan, Whitney Hoffman, and Julian Smith
  • Internal conversation with yourself, know it and be able to express it with themselves and others
  • One-to-many conversation starts with a conversation with yourself
    • Check out the video by Mitch Joel at the PodCamp Tornoto video archive
  • If there is something you are passionate about, there is always a community out there on "the Internet" that you can connect with and share the connections
  • Listen to Your Kids - get parents to anonymously talking and gets parents listening. He spends money to get in the sharing of the content for the listeners and bloggers are connecting to it.
  • Goodnight Burbank - discussed the extra legwork that Hayden did connecting with other bloggers, videocasters and others that have grown the viewership and relationships with our shows. Gordon is now "twittering" at
  • Bruce from LI Podcast - share and be generous and you will find the karma that connects in the long run.
  • Concrete Takeaway - meet someone at Slate, make them a rockstar on your podcast/blog and see what happens. Pick someone other than the speakers.
  • Chris Brogan - makes sure he can build up people when he meets them and he generates such good karma without asking
  • People talking to people - the main premise with social media
  • Famous podcaster - community rallied around him, Internet connects people and empowers others to make an effort
  • When you connect things to a person, you become invested and make a difference
Making a F*&$ing Difference in the World with Social Media
The session speaker did not show up, so Noel Hidalgo ( and I took over the conversation. Topics included:
  • the efforts of in terms of microfinancing via widgets
  • various sites that support individual advocacy and aggregating the efforts like:
    • Celeban - social network, Witness from Peter Gabriel
    • - reflecting efforts within SecondLife
  • discussion on how the technology we have today is an evolution of the way we exchange information - from spoken word, to written media, to recorded audio and video to exchangeable content in all forms
  • I recommended The Starfish and the Spider by Ori Brafman and Rod Beckstrom
Tags: podcampNYC, social networks, social media

Monday, April 2

Yi-Tan Tech Conference Call - Space Travel

Conversation about space travel with Esther Dyson:

1) Where have you got your interest in space travel initially?
There are three magic reasons: father built a rocket ship, dot.comers are now moving into space. The Silicon Valley is the remainder of the "truth" - really hard work and creates all the value. Love frontiers - Eastern Europe. This is the new frontier.

Following Elon Musk - X-Prize people are using their own money - no one can complain if they waste that.

2) What is the landscape for institutional investors?
In the realm of air-taxis in space. When she did FedEx, the rounds of money - the round three people made money, but would not have been in round three if they were not in round one and two. She is an investor in Zero-G and Space Adventures which are quite ready for institutional investors. Someone will more than likely die - which will shake out the companies/industries. She is going out to Russia to watch Charles (the guy who wrote Microsoft Word) launch into space. Fee: $25M.

SpaceX, Virtual Composite - building rockets. Still a way to go.

3) When will this start to materialize? How many years from now when we see space differently?
It is here, just early. Five years from now, will be a small launch of effort.

4) What role has the X-Prize been responsible for this?
Clever form of financing - $10M purse. Not only did it encourage numerous teams, but it was also funded with a $3M insurance policy. Very creative financing.

5) What is the role of the "priesthood", the establishment?
NASA - is, in part, encouraging private enterprise. But still a frictional component. NASA funds interesting research, financial markets fund real projects.
Large companies (Lockheeds, Boeings) - not used to dealing with small companies. Environment is hostile to indifferent.

6) Why space and not under the oceans?
Space is just much more romantic - the ocean is swimming and getting wet. Space is freedom and liberation. While we may be wrong - that the oceans are also the same sense of freedom and liberation. The Whole Earth Catalog is about space. Photo spurred on the ecology movement.

_Here the article breaks off for quantum chemistry results_
+++
The following is a DFT calculation (ωB97M-V with the def2-TZVPD basis set) of a structure of composition C51H78GaN8O6 in a non-equilibrium geometry.

Gap between HOMO and LUMO in Ha: 0.2564
Largest force on an atom in eV Å⁻¹: 1.663
LUMO level in eV: 1.98
Net charge: -1
HOMO in eV: -4.994

The geometry in XYZ format:
```
144
C51H78GaN8O6 (ωB97M-V with the def2-TZVPD basis set)
C 3.9486 0.6896 1.0150
C 4.1518 0.1524 -0.3875
O 3.2967 0.7232 -1.3586
C 3.4358 2.1215 -1.5024
C 2.5886 2.5625 -2.7070
C 1.3273 3.3135 -2.2766
C 0.6388 4.0129 -3.4365
C -0.7376 4.5482 -3.0550
Ga -1.9923 2.9697 -2.7045
C -3.7914 3.4027 -3.5892
C -4.8904 2.4537 -3.3777
O -5.5502 1.9292 -4.2787
C -2.1159 2.8170 -0.6608
C -2.9533 1.6553 -0.1181
C -2.4636 1.2016 1.2587
C -1.0776 0.6185 1.2884
O -0.3697 0.7480 2.2849
O -0.6254 -0.1059 0.2378
C 0.4350 0.5146 -0.5445
C 1.1742 -0.5556 -1.3017
O -1.1296 1.4639 -3.4529
C -1.9729 0.5279 -4.0717
C -2.3556 -0.5692 -3.0803
O -3.7222 -0.9241 -3.1726
C -3.9992 -2.1441 -2.5562
C -3.8682 -2.0758 -1.0350
H 4.4191 1.6585 1.1560
H 2.8932 0.7535 1.2608
H 4.4047 -0.0037 1.7190
H 5.1950 0.2359 -0.7052
H 3.9142 -0.9087 -0.3791
H 4.4750 2.4068 -1.6888
H 3.0542 2.6666 -0.6399
H 3.1569 3.2027 -3.3784
H 2.2928 1.6612 -3.2357
H 1.5739 4.0336 -1.4955
H 0.6482 2.5726 -1.8578
H 0.5311 3.2855 -4.2425
H 1.3181 4.7922 -3.8086
H -0.6496 5.1809 -2.1714
H -1.1274 5.1339 -3.8901
H -3.6586 3.5922 -4.6507
H -4.0749 4.3529 -3.1282
H -5.1401 2.1584 -2.3401
H -2.5420 3.7645 -0.3318
H -1.0956 2.7785 -0.2767
H -3.9769 1.9985 0.0256
H -3.0029 0.8175 -0.8103
H -2.4059 2.0829 1.8880
H -3.1675 0.4829 1.6755
H -0.0356 1.1840 -1.2591
H 1.0961 1.0866 0.1013
H 1.6572 -0.0840 -2.1538
H 0.4903 -1.3076 -1.6745
H 1.9676 -1.0031 -0.7080
H -2.8666 0.9630 -4.5241
H -1.4100 0.0630 -4.8873
H -2.0911 -0.2214 -2.0833
H -1.7468 -1.4618 -3.2659
H -3.3413 -2.9423 -2.9171
H -5.0203 -2.4182 -2.8070
H -4.4294 -2.8740 -0.5510
H -2.8324 -2.2148 -0.7386
H -4.2641 -1.1379 -0.6570
N 2.1318 -0.9196 2.5541
C 2.9690 -0.4212 3.5067
C 4.0256 -1.2868 3.6403
C 3.8120 -2.3512 2.7218
C 2.6320 -2.0950 2.0721
H 1.2751 -0.4792 2.2494
H 2.7451 0.5072 4.0024
H 4.8590 -1.1666 4.3131
H 4.4522 -3.2014 2.5538
H 2.1134 -2.6419 1.3031
N 6.7610 2.9609 -5.8637
C 5.5686 2.5645 -6.4102
C 4.9811 1.6883 -5.5389
C 5.8475 1.5519 -4.4232
C 6.9373 2.3487 -4.6510
H 7.4043 3.6022 -6.2854
H 5.2425 2.9407 -7.3643
H 4.0318 1.1998 -5.6796
H 5.6818 0.9383 -3.5530
H 7.8155 2.5353 -4.0573
N -5.2353 -6.1458 2.7255
C -4.5123 -6.5881 1.6426
C -3.5499 -5.6550 1.3757
C -3.6858 -4.6152 2.3361
C -4.7304 -4.9458 3.1535
H -6.0163 -6.6188 3.1403
H -4.7515 -7.5186 1.1552
H -2.8260 -5.7076 0.5804
H -3.0856 -3.7243 2.4129
H -5.1592 -4.4323 3.9966
N -4.5266 -0.3583 3.9596
C -5.1414 0.1415 5.0725
C -6.4767 -0.1502 4.9811
C -6.6720 -0.8565 3.7629
C -5.4488 -0.9695 3.1572
H -3.5446 -0.2863 3.7619
H -4.5791 0.6595 5.8298
H -7.2294 0.1139 5.7048
H -7.6025 -1.2360 3.3757
H -5.1580 -1.4293 2.2279
N -3.9786 -8.9970 3.7872
C -3.2440 -8.5489 4.8480
+++

7) What are the reasons to go into space? Mine resources? Travel speed?
All and other than the sheer pleasure. We may want to do terraforming - terraforming Mars: can not do it with machines, must do it with biology. Why not do it on Earth to fix global warming? Because there are people here and if we help people on one side, we might hurt on the others. Might need the "extra space".

Pip: over the past 5-10 years, have there been 2 or 3 "ah-ha" moments on this problem that could be looked at in a different fashion?
Still love the "space elevator" - just create an elevator instead of rockets to get into space.
Essence of space tourism are people who have more money than time.

== Someone pasted molecular data at this point ==
____________
No. 1
Molecular formula: C21H19F3N2O3S2
Method: DFT, ωB97M-V/def2-TZVPD

```
50
Properties=species:S:1:pos:R:3:lowdin_charge:R:1
C -4.75199 -1.83145 2.72695 -0.09
C -4.30376 -0.53364 2.44014 -0.07
C -2.93695 -0.27135 2.32996 -0.02
C -1.99428 -1.29646 2.51972 -0.16
C -0.52631 -0.92271 2.48021 -0.46
C 0.43685 -1.95703 2.34028 -0.09
N 1.79775 -1.76223 2.55427 -0.03
C 2.38901 -0.51682 2.64855 0.00
C 3.76142 -0.36809 2.70045 -0.04
C 4.58902 -1.48716 2.70100 -0.07
C 3.98225 -2.74708 2.70789 -0.05
C 2.61279 -2.87732 2.65406 -0.02
O -0.25029 0.30153 2.52635 -0.06
C -2.45028 -2.58957 2.80816 -0.04
C -3.81957 -2.86087 2.90370 -0.08
H -5.81802 -2.04114 2.81781 0.10
H -5.01691 0.28304 2.31953 0.10
H -2.58659 0.74001 2.11480 0.12
H 0.15545 -3.00461 2.18651 0.11
H 1.70508 0.31787 2.63847 0.11
H 4.14458 0.64876 2.76530 0.12
H 5.66918 -1.37940 2.73155 0.11
H 4.57367 -3.65654 2.78333 0.11
H 2.08293 -3.82634 2.67377 0.13
H -1.71296 -3.37234 2.98161 0.10
H -4.14570 -3.87569 3.13872 0.10
C 0.77083 1.78891 -0.96419 -0.13
N 0.01735 0.68359 -1.53141 -0.56
S -0.15777 -0.68475 -0.46811 1.13
C 1.22675 -1.56483 -1.18628 -0.81
F 1.27159 -2.81417 -0.62882 0.06
F 1.12517 -1.69804 -2.52435 0.09
F 2.42254 -0.95216 -0.92776 0.07
S -1.39083 1.08850 -2.39567 0.62
C -0.70902 2.30734 -3.50978 -0.30
C -1.05440 3.66037 -3.37743 -0.06
C -0.54169 4.59029 -4.28567 -0.07
C 0.27826 4.17139 -5.33842 -0.07
C 0.59224 2.81559 -5.47779 -0.07
C 0.09233 1.87762 -4.57126 -0.05
O -1.76047 -0.04780 -3.19826 -0.29
O -2.33465 1.71180 -1.50275 -0.29
H 1.77436 1.42133 -0.72461 0.08
H 0.85117 2.56838 -1.72987 0.08
H 0.26061 2.15880 -0.06037 0.10
H -1.70543 3.96713 -2.55946 0.12
H -0.79655 5.64646 -4.17777 0.11
H 0.65314 4.89718 -6.06254 0.11
H 1.21400 2.47690 -6.30761 0.11
H 0.31408 0.81678 -4.68290 0.12
```

Computed properties:
Spin multiplicity = 1
LUMO = -0.014 Eh
HOMO-LUMO gap = 0.260 hartree

=====

No. 2
Molecular formula: C21H19F3NO7S2
Method: DFT, ωB97M-V/def2-TZVPD

```
53
Properties=species:S:1:pos:R:3:lowdin_charge:R:1
C 3.68595 -1.72101 1.30139 -0.08
C 2.24394 -1.86254 1.67965 -0.25
O 1.64813 -0.55487 1.60013 -0.01
C 0.37099 -0.61525 2.02420 -0.48
C -0.39412 0.63164 2.04522 -0.05
C 0.28902 1.91229 1.77743 -0.44
O -0.31062 2.95296 1.45428 -0.01
O 1.62988 1.93742 1.83624 -0.02
C 2.18416 3.26141 1.65229 -0.23
C 3.62689 3.09057 1.27827 -0.09
C -1.81098 0.59873 1.88049 -0.17
C -2.61843 1.77853 1.90141 -0.04
C -3.99470 1.73992 1.71170 -0.12
C -4.65410 0.52418 1.50229 -0.13
C -3.89977 -0.65141 1.49008 -0.13
C -2.52055 -0.61690 1.64326 -0.05
O -0.08108 -1.71625 2.35006 -0.10
H 4.17766 -2.68749 1.42007 0.07
H 3.79975 -1.41523 0.25836 0.07
H 4.20514 -1.00310 1.94151 0.08
H 1.72234 -2.54558 0.99519 0.13
H 2.14329 -2.22664 2.70886 0.12
H 1.63849 3.79854 0.86983 0.11
H 2.06706 3.78594 2.60870 0.12
H 4.06480 4.06576 1.05700 0.07
H 4.19538 2.64020 2.09620 0.07
H 3.73105 2.46412 0.38671 0.08
H -2.11893 2.73347 2.01950 0.08
H -4.55134 2.67700 1.74348 0.09
H -5.73598 0.48941 1.37046 0.08
____________
== Here the entry continues ==

8) Is this going to change our moving from point A to point B? Did we miss the intercontinental boat?
Air taxis speed things up immensely. Supersonics will speed things up if you go up high enough.
Nova Spivak on one of the MIG flights that took him up to the stratosphere.

9) What will this do to "earth culture"?
Creates a new sense of possibility, in the end, people will perceive borders differently. Tremendously exciting - still places we have not explored. Draw the attention of kids to space and science - key to our success in the future.

10) If we had a backup planet, will be end up taking care of our planet less?
Poor people usually are the ones who move on - to push the bounds.

David Spector: The Bush Adminstration will control space for American interests at all costs? When will the conflict occur with the military and the private interests and what will the outcome be?
Space race is now between us and the Chinese. US will have a hard time thinking they have control of space. They simply do not have control over it - and there is no legitimate claim.

Everyone going into space, forcing Americans and Russian to work together. The Russian government is acting like a commercial player. No private ventures happening.

She loves the zero-G flights - feels like swimming with flippers.

Had to leave for another meeting...